Testimonial of one of our members here at Le Chéile, Noirín De Barra, who has been battling depression and bipolar disorder for almost 24 years now. This was originally published in the Limerick Leader on the 25th of July 2016, by Fintan Walsh. Noirín hopes that by sharing her story, she can help others to realise that they’re not alone in dealing with their mental health issues.
Noirín’s story
“I really should be another suicide statistic. I really don’t know how I survived.”
These are the words of Shannon Banks woman, Noirín De Barra, who has been battling depression and bipolar disorder for 23 years.
Last Thursday, Ms De Barra, 58, visited the Limerick Leader to share her heartfelt story, hand-written in a large notebook.
The three-page journal entry, which she read out to this reporter, details her experiences at the acute psychiatric unit, 5B, at the former Mid-Western Regional Hospital (now University Hospital Limerick); family troubles; and how she overcame the “darkness”.

Where it all began
When the Limerick woman was admitted to 5B in the early 1990s, she had “latent feelings inside all the time. It was a curse. I was afraid to voice my opinions for fear that the men in white coats would lock me up, away from my beloved children. I missed Christmas with them, and I also missed my daughter’s Confirmation. I was devastated. It was the loneliest day that I ever put down in ward 5B,” she wrote in the journal.
As well as the “insurmountable” guilt she felt in the ward, she grew tired of repetitive questions pressed by psychiatrists and doctors.
At the age of 24, Ms De Barra’s first husband died by suicide, which was followed by the death of her youngest, 18-year-old sister, she wrote.
“My two children were only toddlers. I needed guidance. I had a nervous breakdown. I then saw a psychiatrist privately that and was well almost immediately. I went back to work and cared for children. In 1990, I remarried. From the start, I suffered panic attacks and poor mental health. I’d say I was in a deep depression for three years.”
A simple question
Noirín, who now does creative writing as a hobby, said that she was in and out of 5B “several times in later years, but always bounced back and went out to work”, and started seeing a new health professional in 2013.
She said that a family doctor, who visited her on one occasion at 5B, sat with her in the foyer of the Dooradoyle hospital and asked her: “Noirín, where do you see yourself in five years’ time ?”
“Strange question, I thought to myself, but I had a fast answer for him. I said: ‘I will be writing [about this] in five years’, and as I write this down tonight, I can feel the latent frustration, angry, guilty feeling like a second class citizen, flow out of my body and I am feeling content and quietly relaxed,” she read out, in a quiet office on O’Connell Street.
However, she said that there were positive experiences during her time in the acute psychiatric ward.
“The one plus for ward 5B were the patients. We counselled each other, and some of them have remained good friends. The camaraderie we shared inside; we helped each other through hard times, and the nurses spent most of their days writing notes on us. We had fun, too, out there at times, despite everything.
It can happen to anyone
## The text is interrupted by molecular data
- - -
Entry 1:
DFT (ωB97M-V/def2-TZVPD) results for a cluster of 11 separate species, C60H146F9N8O22 in total in a non-equilibrium geometry.

For the energy, the calculation gives -145946.7777 eV. The value obtained for the highest occupied orbital energy is -10.4744 eV. For the HOMO-LUMO gap, the calculation gives 2.98 eV. Its energy above the lowest of the compared OMol25 structures with the same formula, charge and spin is 157.79 kcal per mole.

Geometry as ORCA input:
```
! wB97M-V def2-TZVPD RIJCOSX def2/J DEFGRID3
* xyz 5 1
C -3.96 11.08 9.85
O -3.03 11.13 8.78
O -4.43 12.39 10.17
C -5.13 10.07 9.34
F -5.44 10.32 8.08
F -4.87 8.76 9.48
F -6.27 10.29 10.02
C -2.09 10.07 8.62
C -1.15 10.38 7.42
H -0.65 11.33 7.61
H -0.41 9.59 7.47
H -1.74 10.51 6.50
H -2.42 9.04 8.54
H -1.38 10.07 9.45
H -3.45 10.78 10.76
C -5.05 6.57 4.90
O -5.93 7.49 4.21
O -5.72 5.38 5.08
C -3.59 6.51 4.30
F -2.86 5.48 4.61
F -3.68 6.42 2.95
F -2.86 7.60 4.63
C -5.40 8.81 3.92
C -6.58 9.70 3.35
H -7.06 9.41 2.42
H -7.30 9.93 4.14
H -6.17 10.69 3.18
H -4.68 8.70 3.12
H -4.81 9.33 4.67
H -4.88 6.86 5.94
C 5.83 8.25 11.00
O 5.85 7.01 10.31
O 6.41 9.28 10.15
C 4.40 8.49 11.50
F 4.36 9.26 12.58
F 3.61 9.06 10.63
F 3.79 7.39 11.86
C 5.85 5.83 11.03
C 5.90 4.76 10.03
H 6.71 4.99 9.34
H 6.08 3.83 10.56
H 5.00 4.76 9.41
H 4.96 5.56 11.61
H 6.62 5.73 11.79
H 6.50 7.97 11.81
C 2.39 7.47 1.57
O 3.66 7.89 1.08
C 3.34 8.85 0.09
C 4.60 9.59 -0.41
N 5.55 8.54 -0.99
H 5.64 7.76 -0.36
H 5.16 7.97 -1.72
C 6.85 9.21 -1.36
C 7.88 8.08 -1.66
O 8.02 7.27 -0.45
C 8.84 6.12 -0.57
H 2.50 6.56 2.16
H 1.66 7.23 0.80
H 1.91 8.19 2.24
H 2.67 9.67 0.34
H 2.82 8.44 -0.78
H 5.11 10.12 0.40
H 4.30 10.27 -1.20
H 7.10 10.02 -0.68
H 6.54 9.70 -2.28
H 8.76 8.66 -1.94
H 7.49 7.61 -2.56
H 9.90 6.37 -0.64
H 8.56 5.50 -1.42
H 8.78 5.44 0.28
C -8.18 12.44 18.70
O -6.78 12.05 18.64
C -5.99 12.41 19.74
C -4.61 11.68 19.59
N -4.95 10.17 19.24
H -5.07 9.63 20.09
H -5.86 10.13 18.80
C -4.16 9.38 18.25
C -4.55 9.60 16.80
O -5.97 9.27 16.84
C -6.88 9.96 16.00
H -8.66 12.16 17.77
H -8.27 13.47 19.02
H -8.80 11.88 19.40
H -6.55 12.28 20.67
H -5.85 13.48 19.67
H -3.98 11.63 20.48
H -4.11 12.18 18.75
H -4.34 8.34 18.51
H -3.11 9.52 18.51
H -4.07 8.85 16.17
H -4.37 10.66 16.62
H -7.91 9.95 16.36
H -6.95 9.55 14.99
H -6.75 11.03 15.84
C -11.16 5.27 9.20
O -11.08 5.55 7.82
C -10.41 6.76 7.46
C -10.63 6.83 5.92
N -10.20 5.54 5.19
H -9.20 5.39 5.28
H -10.59 4.66 5.49
C -10.37 5.66 3.67
C -11.83 5.63 3.24
O -12.54 6.72 3.84
C -13.97 6.70 3.69
H -11.80 5.92 9.79
H -10.17 5.25 9.66
H -11.58 4.27 9.28
H -9.37 6.87 7.78
H -10.78 7.71 7.82
H -10.12 7.71 5.52
H -11.71 6.88 5.79
H -9.89 4.80 3.21
H -9.95 6.58 3.25
H -12.27 4.67 3.50
H -11.77 5.68 2.15
H -14.39 7.20 4.56
H -14.29 5.66 3.68
H -14.29 7.23 2.79
C -3.66 17.70 5.18
O -3.29 16.67 6.07
C -3.32 15.32 5.64
C -4.68 14.55 5.54
N -5.64 15.16 6.57
H -5.25 15.05 7.50
H -5.57 16.15 6.35
C -7.12 14.71 6.57
C -7.89 15.37 5.45
O -7.59 16.73 5.64
C -8.23 17.59 4.71
H -3.43 18.69 5.57
- - -
“So why should there be a stigma against mental health? Isn’t the brain part of our bodies? It needs mending at times. And nobody can throw a stone — it can happen to anyone, no matter what creed. Why are we segregated, why are we alienated, and why are we not more integrated into society? We have feelings that hurt the same as everyone else. All that we need is for someone to listen to us,” she wrote.
Since September, Noirín has been attending sessions at Grow mental health services, on Henry Street, and Shine services, in Ennis. She said: “They have helped me so much since I started”, adding that people should not lose faith in local mental health charities, following the revelations of the Console scandal.
“I have now found a way out of this darkness and depression. I joined Grow last September, and it has been the making of me. I speak my mind at these meetings. It can sometimes be emotional, but our group is a loving, caring group who look after me.
You can come out of depression
“ I have made lots of new, genuine friends. I no longer beat myself up over things, or feel that awful guilt. I find I can be emotional like everybody else, and also be happy, without fear of being judged.”
She concluded: “Bipolar, yes, it is a curse. But you can come out of it a whole and beautiful person.”